Exercise:
The reader should print only the lines further down with the word "Compound" in them.

Listing:
- - -
Theoretical X-ray diffraction stick pattern
Compound: La2Zn5Ag12
Radiation: CuKα
Structure: a structure optimized by DFT (GGA-PBE)

The 10 most intense peaks (2θ = 10–80°), sorted by position:
| 2theta | intensity |
| --- | --- |
| 32.5 | 31 |
| 33.5 | 35 |
| 37.7 | 42 |
| 37.9 | 100 |
| 38.5 | 38 |
| 42.6 | 51 |
| 55.0 | 17 |
| 61.6 | 16 |
| 68.1 | 24 |
| 69.3 | 16 |

Crystal structure
```
La2Zn5Ag12
1.0
4.770 2.754 4.674
-4.770 2.754 4.674
0.000 -5.508 4.674
La Zn Ag
2 5 12
Cartesian
0.000 0.000 2.135 La
0.000 0.000 11.886 La
-2.385 -1.377 4.674 Zn
0.000 0.000 5.622 Zn
-2.385 1.377 9.348 Zn
0.000 2.754 4.674 Zn
- - -

Here it is:
Compound: La2Zn5Ag12